-- Work order --
Find "0.59" and "gap (eV):" in the contents below, and echo these two lines and those between, please.

-- Given --
C5H11NS | the ωB97M-V functional and the def2-TZVPD basis

Structure (XYZ):
```
18
C5H11NS the ωB97M-V functional and the def2-TZVPD basis
C 2.19 -0.66 -0.75
C 1.51 -0.26 0.59
C 0.26 -0.44 1.16
C -1.19 -0.57 0.77
S -1.44 -1.87 -0.38
C -1.70 0.78 0.27
N -0.94 1.10 -1.07
H 3.00 0.05 -0.92
H 2.51 -1.77 -0.82
H 1.53 -0.62 -1.68
H 2.28 -0.06 1.29
H 0.54 0.06 2.07
H -1.71 -0.75 1.78
H -0.91 -0.86 -1.34
H -2.70 0.78 -0.04
H -1.32 1.45 1.03
H -1.76 1.93 -1.30
H -0.15 1.71 -0.66
```

Output
Strongest force on any atom (eV/A): 5.93
Electronic energy (eV): -17685.345
Energy relative to the best compared isomer or geometry (same formula, charge and spin) (kcal/mol): 71.9
Frontier orbital gap (eV): 9.3
SMILES: C/C=C\[C@H](S)CN
E_HOMO (eV): -8.62

-- Reply --
C 1.51 -0.26 0.59
C 0.26 -0.44 1.16
C -1.19 -0.57 0.77
S -1.44 -1.87 -0.38
C -1.70 0.78 0.27
N -0.94 1.10 -1.07
H 3.00 0.05 -0.92
H 2.51 -1.77 -0.82
H 1.53 -0.62 -1.68
H 2.28 -0.06 1.29
H 0.54 0.06 2.07
H -1.71 -0.75 1.78
H -0.91 -0.86 -1.34
H -2.70 0.78 -0.04
H -1.32 1.45 1.03
H -1.76 1.93 -1.30
H -0.15 1.71 -0.66
```

Output
Strongest force on any atom (eV/A): 5.93
Electronic energy (eV): -17685.345
Energy relative to the best compared isomer or geometry (same formula, charge and spin) (kcal/mol): 71.9
Frontier orbital gap (eV): 9.3